Recent content by Mumbles05

  1. Mumbles05

    help! keys locked in trunk!

    Does this trick involve a plasma cutter? lol I can see being concerned about the wrong person knowing it but if someone wants the vehicle, they are probably going to come with a rollback flatbed and take it. Also, don't store the hope diamond in the trunk. I am glad you were able to help that...
  2. Mumbles05

    DRB III Reverse Engineering Project

    I haven't forgotten about you. Had my hands full recently (see below). Sounds like you have a gameplan though. It'll just take time and money as all things do. The computer part of that blue brick is touch screen so I doubt anyone had to fiddle with the keyboard. It has some heft to it though so...
  3. Mumbles05

    DRB III Reverse Engineering Project

    Well, based on the numbering I would assume it started at CDA 1 but the lowest version number I have seen or heard about was CDA 3. I have no idea what form it was in prior to that but CDA 3 as I knew it was software that ran on the starscan. There may have been a desktop version of 3 but I...
  4. Mumbles05

    DRB III Reverse Engineering Project

    Behold, the holy grail! CDA 6 offline. Cost me an arm and a leg but I finally got my hands on it.
  5. Mumbles05

    DRB III Reverse Engineering Project

    I need to open up one of my original ones in a couple days to resolder the reset button, so I'll snap some pictures of it when I do. The OBD 2 port supplies it 12v power so it's reasonable to assume it would have a way to send 12v out again for 9141. If you have your pod connected via usb, you...
  6. Mumbles05

    DRB III Reverse Engineering Project

### Calculated crystals, as found in the file
____________
A relaxed structure of LiB. Source: the Materials Project, functional PBE-GGA.

Calculated values
**Offset from the most stable computed form**: 71 meV/atom
**Total DFT energy (no corrections)**: -17.6 eV/cell
**SG**: No. 74
**Calculated density**: 1.09 g cm⁻³

Unit cell a=4.4808 b=4.4808 c=4.4808 alpha=139.81 beta=101.59 gamma=92.02
Last column: nearest neighbours and their distance in Å.
Positions (direct):
Li (0.5000, 0.0000, 0.5000)  2 B 2.21
Li (0.0000, 0.5000, 0.5000)  2 B 2.21
B (0.9729, 0.7500, 0.2229)  2 B 1.57
B (0.0271, 0.2500, 0.7771)  2 B 1.57

* * * * *

Mn5In4SbPd10: relaxed, PBE.

Cell and atoms, written as POSCAR:
```
Mn5In4SbPd10
1.0
2.272 1.312 18.528
-2.272 1.312 18.528
0.000 -2.624 18.528
Mn In Sb Pd
5 4 1 10
Direct
0.000 0.000 0.000
0.200 0.200 0.200
0.400 0.400 0.400
0.600 0.600 0.600
0.800 0.800 0.800
0.100 0.100 0.100
0.300 0.300 0.300
0.700 0.700 0.700
0.900 0.900 0.900
0.500 0.500 0.500
0.050 0.050 0.050
0.150 0.150 0.150
0.250 0.250 0.250
____________

    That is great. Be sure to mention the patents for the DRB 3 have expired so he wouldn't be doing anything wrong by discussing it with you. 2020-01-05 Application status is Expired - Lifetime
  7. Mumbles05

    DRB III Reverse Engineering Project

    I wasn't even aware CTC had anything to do with it. You should really give the patents a look. Chrysler has a bunch of them that may be helpful.
  8. Mumbles05

    DRB III Reverse Engineering Project

Next to the piece, the page also holds calculated crystals.
(1)
This record from the Materials Project describes crystalline LiCuRu2Rh2O8 at its relaxed geometry. The functional is PBE.

Unit cell a=6.146 b=6.146 c=6.146 alpha=125.16 beta=118.74 gamma=86.75
Atoms (fractional coordinates):
Li: 0.000 0.000 0.000
Cu: 0.752 0.252 0.500
Ru: 0.370 0.093 0.723
Ru: 0.370 0.647 0.277
Rh: 0.372 0.619 0.753
Rh: 0.866 0.619 0.247
O: 0.102 0.851 0.251
O: 0.140 0.409 0.269
O: 0.140 0.870 0.731
O: 0.170 0.386 0.784
O: 0.598 0.359 0.761
O: 0.598 0.838 0.239
O: 0.600 0.851 0.749
O: 0.603 0.386 0.216

* SG: No. 44
* total moment: 0.0 μB/cell
* ΔH_f (0 K): -1.3028 eV per atom

(2)
This record from the Materials Project describes crystalline Li2Cu2S3O12 at its relaxed geometry. The functional is PBE.

Unit cell a=8.646 b=8.681 c=24.131 alpha=90.00 beta=90.00 gamma=90.00
Atoms (fractional coordinates):
Li: 0.038 0.124 0.209
Li: 0.038 0.376 0.709
Li: 0.147 0.069 0.992
Li: 0.147 0.431 0.492
Li: 0.353 0.569 0.992
Li: 0.353 0.931 0.492
Li: 0.462 0.624 0.209
Li: 0.462 0.876 0.709
Li: 0.538 0.124 0.291
Li: 0.538 0.376 0.791
Li: 0.647 0.069 0.508
Li: 0.647 0.431 0.008
Li: 0.853 0.569 0.508
Li: 0.853 0.931 0.008
Li: 0.962 0.624 0.291
Li: 0.962 0.876 0.791
Cu: 0.002 0.703 0.679
Cu: 0.002 0.797 0.179
Cu: 0.006 0.598 0.934
Cu: 0.006 0.902 0.434
Cu: 0.494 0.098 0.934
Cu: 0.494 0.402 0.434
Cu: 0.498 0.203 0.679
Cu: 0.498 0.297 0.179
Cu: 0.502 0.703 0.821
Cu: 0.502 0.797 0.321
Cu: 0.506 0.598 0.566
Cu: 0.506 0.902 0.066
Cu: 0.994 0.098 0.566
Cu: 0.994 0.402 0.066
Cu: 0.998 0.203 0.821
Cu: 0.998 0.297 0.321
S: 0.142 0.052 0.702
S: 0.142 0.448 0.202
S: 0.148 0.747 0.555
S: 0.148 0.753 0.055
S: 0.196 0.594 0.384
S: 0.196 0.906 0.884
S: 0.304 0.094 0.384
S: 0.304 0.406 0.884
S: 0.352 0.247 0.555
S: 0.352 0.253 0.055
S: 0.358 0.552 0.702
S: 0.358 0.948 0.202
S: 0.642 0.052 0.798
S: 0.642 0.448 0.298
S: 0.648 0.747 0.945
S: 0.648 0.753 0.445
S: 0.696 0.594 0.116
S: 0.696 0.906 0.616
S: 0.804 0.094 0.116
S: 0.804 0.406 0.616
S: 0.852 0.247 0.945
S: 0.852 0.253 0.445
S: 0.858 0.552 0.798
S: 0.858 0.948 0.298
O: 0.062 0.611 0.536
O: 0.062 0.889 0.036
O: 0.080 0.598 0.222
O: 0.080 0.902 0.722
O: 0.085 0.606 0.029
O: 0.085 0.894 0.529
O: 0.086 0.092 0.647
O: 0.086 0.408 0.147
O: 0.091 0.177 0.741
O: 0.091 0.323 0.241
O: 0.093 0.689 0.420
O: 0.093 0.811 0.920
O: 0.097 0.509 0.344
O: 0.097 0.991 0.844
O: 0.140 0.736 0.116
O: 0.140 0.764 0.616
O: 0.186 0.542 0.704
O: 0.186 0.958 0.204
O: 0.187 0.236 0.537
O: 0.187 0.264 0.037
O: 0.190 0.184 0.353
O: 0.190 0.316 0.853
O: 0.228 0.517 0.924
O: 0.228 0.983 0.424
O: 0.272 0.017 0.924
O: 0.272 0.483 0.424
O: 0.310 0.684 0.353
O: 0.310 0.816 0.853
O: 0.313 0.736 0.537
O: 0.313 0.764 0.037
O: 0.314 0.042 0.704
O: 0.314 0.458 0.204
O: 0.360 0.236 0.116
O: 0.360 0.264 0.616
O: 0.403 0.009 0.344
O: 0.403 0.491 0.844
O: 0.407 0.189 0.420
O: 0.407 0.311 0.920
O: 0.409 0.677 0.741
O: 0.409 0.823 0.241
O: 0.414 0.592 0.647
O: 0.414 0.908 0.147
O: 0.415 0.106 0.029
O: 0.415 0.394 0.529
O: 0.420 0.098 0.222
Back to the piece.

    I wish I could be of more help. I'm not too keen on sending my DRB 3 through an unnecessary tumble dry cycle, also known as the mail. I don't own the switchbox to go with my sensor and I don't own a Mixed signal oscilloscope or logic analyzer. I wouldn't know what to do with them if they were...
  9. Mumbles05

    DRB III Reverse Engineering Project I thought it was made by OTC and was later bought out by bosch who was providing repairs service for them up until a couple years ago. The switchbox for the sensors just handles cycling between the two sensors or selecting a single one. If you look back on...
  10. Mumbles05

    DRB III Reverse Engineering Project

    I think it would work well as a standard scan tool, allowing you access to various tests like the injector kill test and cycling the ABS pump. I haven't seen anything like it that could activate sales codes. On older vehicles that usually a matter of flipping a switch in the software, it may...
  11. Mumbles05

    DRB III Reverse Engineering Project

    I'm sure there are obd 2 splitter cables or you can use something like the "J1962 Breakout Box, CH7002" listed in the DRB 3 Hardware Operations & Accessories Reference Guide P/N CH6050 PDF copy found here: That manual also...
  12. Mumbles05

    DRB III Reverse Engineering Project

    I know. I'm registered as Deepfreeze01 on there and participated in that thread. It's a pretty safe bet that I'm in most of the discussions of this topic across the web. Any that were of any consequence anyways. Unfortunately because of the value of the vehicles involved, most of those threads...
  13. Mumbles05

    DRB III Reverse Engineering Project

    A fair warning, you are embarking down a path that will eat an inordinate amount of your free time and cost you tens of thousands of dollars. lol I would encourage you to give them a call. You might get further with them than I did. Try the technical support department. They didn't seem very...
  14. Mumbles05

    DRB III Reverse Engineering Project

    Yes, I've used it before and had some long conversations with the guys over at CTC as well. They are the ones who developed both versions of the DRB 3 emulator. As I understood it, there was some licencing dispute regarding the original DRB 3 emulator software which is why it was previously...
  15. Mumbles05

    DRB III Reverse Engineering Project

These records of crystals were left in the article by mistake:
********
(1)
A relaxed BaLi2MnV2O8 crystal, computed with PBE+U.

Computed properties:
Raw total energy, eV/cell: -197.2
Calculated formation energy, meV per atom: -2607.3

```
28
Lattice="0.6947 3.0852 -4.3170 -3.3978 -4.5861 -7.1361 -8.3063 2.1730 -3.1005" Properties=species:S:1:pos:R:3 pbc="T T T"
O -6.5125 0.9373 -9.1377
O -6.2936 2.2397 -3.9705
O -8.9913 1.6652 -10.2009
O -3.4871 1.3291 -2.9241
O -8.0147 3.1920 -8.0743
O -3.4919 0.4029 -8.1468
O -2.0180 -0.9931 -4.3528
O -2.9946 -2.5210 -6.4784
O -5.9079 -1.7297 -7.9337
O -10.0017 0.0708 -12.6928
O -7.5229 -0.6571 -11.6295
O -4.7165 -1.5679 -10.5827
O -5.1018 2.4026 -6.6199
O -7.5177 0.2691 -6.4067
O -4.4970 -0.2652 -5.4168
O -1.0081 0.6013 -1.8602
Li -5.1985 0.5740 -3.7419
Li -2.3974 -1.2632 -7.9178
Li -8.6127 1.9348 -6.6354
Li -5.8106 0.0981 -10.8119
V -5.5724 3.2875 -5.1804
V -3.4656 -1.6344 -5.0401
V -7.5443 2.3066 -9.5142
V -5.4372 -2.6156 -9.3726
Ba -8.6039 -1.0394 -8.7570
Ba -2.4034 1.7104 -5.7977
Mn -5.5046 0.3406 -7.2793
Mn -7.6106 5.2564 -7.4153
```



(2)
A relaxed BaLi4NiO4 crystal, computed with PBE+U.

Computed properties:
SG: P2_1/c, No. 14
Raw total energy, eV/cell: -398.1
Calculated formation energy, meV per atom: -1992.9

```
80
Lattice="15.3063 0.0000 0.0000 0.0000 5.7372 0.0000 0.0000 3.5209 10.7011" Properties=species:S:1:pos:R:3 pbc="T T T"
Ni 0.3162 6.1127 7.5670
Ni 4.2804 5.9286 4.0283
Ni 11.9335 1.5691 1.3222
Ni 11.0258 3.3296 6.6727
Ni 7.9693 4.9059 8.4845
Ni 7.3370 4.3523 2.2165
Ni 3.3727 7.6890 9.3789
Ni 14.9901 3.1454 3.1340
Ba 6.7259 7.6869 7.1630
Ba 3.1400 3.0111 2.5586
Ba 12.1663 6.2470 8.1424
Ba 10.7931 4.4866 2.7919
Ba 8.5803 1.5712 3.5381
Ba 14.3791 3.3317 8.8886
Ba 4.5132 4.7716 7.9092
Ba 0.9272 5.9265 1.8125
Li 8.7830 4.0481 5.6411
Li 9.3828 6.0786 6.7116
Li 2.4304 6.8229 6.6137
Li 5.2227 5.0624 1.2632
Li 0.4403 3.9698 6.1492
Li 4.0234 2.4262 5.5446
Li 3.6297 0.6657 0.1941
Li 1.0869 2.0416 4.8747
Li 11.6765 8.5924 10.5070
Li 6.5232 5.2100 5.0600
Li 10.0835 4.1958 9.4379
Li 1.9642 3.0734 7.7550
Li 8.0935 7.0488 9.9024
Li 2.4257 4.9114 5.2512
Li 8.7400 5.4560 0.4759
Li 5.6889 1.3130 2.4045
Li 14.2194 7.2165 5.8264
Li 13.3420 6.1847 2.9460
Li 13.5766 4.3181 1.3611
Li 12.8806 4.3467 5.4499
Li 12.8758 2.4353 4.0873
Li 6.5663 3.8021 10.2252
Li 14.1764 2.2877 0.2906
Li 11.2828 6.8319 5.1565
Li 1.1299 6.9705 10.4105
Li 5.9235 3.1795 3.9895
Li 9.6174 7.9452 8.2966
Li 5.2275 6.6719 10.6017
Li 14.8659 5.2884 4.5519
Li 10.0788 2.5862 0.0993
Li 1.7296 4.9400 9.3400
Li 7.2128 2.2093 0.7987
O 3.8413 6.1341 2.0888
O 14.2349 5.2349 6.4520
O 14.7417 1.3639 3.9209
O 12.5665 2.3286 5.9954
O 5.9231 7.0256 4.4430
O 1.0714 4.0232 4.2490
O 11.4944 1.3635 3.2618
O 8.7245 3.4744 1.1015
O 2.7398 6.9295 4.7057
O 3.0853 5.9775 10.3577
O 15.1888 5.7318 9.3993
O 9.3831 2.2325 6.2580
O 7.0886 6.1338 1.4296
O 7.5357 5.2868 6.6523
O 0.1175 3.5263 1.3017
O 12.2210 3.2807 0.3434
O 4.9133 8.6900 10.0562
O 10.7384 5.0411 5.6939
O 9.5927 6.0528 8.8127
O 10.3929 0.5681 0.6449
O 1.9395 4.9658 7.2389
********

    I am very interested in tracking the issue since I've made it my hobby to document this stuff. If you spoke to some suitably experienced techs who were unable to access it with the newest version of the emulator then I would say it was likely left out all together. A shame since the enhanced DRB...